The World of Age of Sigmar!

One lucky community member takes a peek at the upcoming Age of Sigmar novel. Look at what the future of Warhammer may hold:
-- Inserted here: molecular data --
........
[1]
{"formula": "C25H14Cl5O2PZr", "method": "ωB97M-V/def2-TZVPD", "gap_ev": 7.36, "lumo_ev": -7.500, "charge": 2, "symbols": ["Zr", "O", "C", "O", "C", "C", "C", "C", "C", "C", "P", "C", "C", "C", "C", "C", "C", "C", "C", "C", "C", "C", "C", "H", "H", "H", "H", "H", "H", "H", "H", "H", "H", "H", "H", "H", "H", "Cl", "C", "C", "C", "Cl", "C", "Cl", "C", "Cl", "C", "Cl"], "coordinates": [[0.44774, 0.99245, 0.47663], [2.23772, 1.28739, -0.61680], [1.70150, 0.47912, -1.45282], [1.02336, -0.46397, -0.89837], [1.45177, 0.83499, -2.86625], [2.35658, 0.61783, -3.88552], [2.00383, 0.98411, -5.18224], [0.77495, 1.56918, -5.43317], [-0.12405, 1.81142, -4.39863], [0.20197, 1.45244, -3.09743], [-0.93261, 1.80235, -1.71721], [-2.49212, 2.43057, -2.31488], [-2.74433, 3.79943, -2.40489], [-3.95417, 4.23001, -2.92653], [-4.89828, 3.30642, -3.35583], [-4.64671, 1.94297, -3.26510], [-3.44504, 1.49967, -2.73896], [-0.17467, 3.17794, -0.79244], [-0.60494, 3.32273, 0.54581], [-0.04639, 4.29277, 1.37795], [0.94856, 5.12053, 0.87864], [1.38350, 4.98134, -0.43757], [0.84209, 4.00935, -1.26589], [3.31193, 0.15420, -3.67944], [2.69578, 0.80369, -5.99344], [0.50935, 1.84783, -6.44398], [-1.07526, 2.28144, -4.61479], [-2.01493, 4.53063, -2.08110], [-4.15923, 5.28927, -3.00036], [-5.83931, 3.65162, -3.76306], [-5.38547, 1.22671, -3.59710], [-3.25551, 0.43485, -2.66583], [-1.47055, 2.75010, 0.90624], [-0.40006, 4.39976, 2.39472], [1.38661, 5.87810, 1.51458], [2.15731, 5.63544, -0.81741], [1.20856, 3.89010, -2.27797], [1.90637, 1.84302, 3.21443], [0.58627, 0.74362, 3.55009], [-0.00023, 0.24607, 2.41871], [-1.10453, -0.55483, 2.51107], [-1.74864, -0.93978, 0.91870], [-1.63600, -0.93901, 3.72693], [-3.00382, -1.94744, 3.80137], [-0.99699, -0.44322, 4.88409], [-1.59860, -0.88171, 6.40748], [0.11555, 0.42621, 4.81218], [0.85454, 1.06359, 6.20510]], "forces_ev_per_angstrom": [[-0.8, -0.3, 0.1], [0.3, 0.1, -0.2], [-0.1, -0.1, 0.2], [0.1, -0.1, -0.3], [0.1, 0.0, 0.0], [-0.1, 0.0, -0.1], [0.1, 0.0, 0.1], [0.0, 0.0, 0.0], [0.0, 0.0, -0.1], [0.0, 0.0, -0.1], [0.5, 0.3, 0.1], [-0.2, -0.3, 0.0], [0.0, 0.0, 0.0], [0.0, 0.0, 0.0], [0.0, 0.0, 0.0], [0.0, 0.0, 0.0], [-0.1, 0.0, 0.0], [0.1, 0.3, -0.1], [-0.1, 0.0, 0.0], [0.0, -0.1, 0.0], [0.0, 0.0, 0.0], [0.0, 0.0, 0.0], [0.0, 0.0, 0.0], [0.0, 0.0, 0.0], [0.0, 0.0, 0.0], [0.0, 0.0, 0.0], [0.0, 0.0, 0.0], [0.0, 0.0, 0.0], [0.0, 0.0, 0.0], [0.0, 0.0, 0.0], [0.0, 0.0, 0.0], [0.0, 0.0, 0.0], [0.0, 0.0, 0.0], [0.0, 0.0, 0.0], [0.0, 0.0, 0.0], [0.0, 0.0, 0.0], [0.0, 0.0, 0.0], [0.0, -0.1, 0.0], [0.2, 0.1, 0.2], [0.2, 0.2, -0.1], [-0.1, -0.1, 0.1], [0.0, 0.0, 0.1], [0.0, 0.0, -0.1], [0.0, 0.0, 0.0], [0.0, 0.0, 0.0], [0.0, 0.0, 0.0], [0.0, -0.1, -0.1], [0.0, 0.0, 0.0]]}


[2]
........
-- End of the molecular data --
via reader Sleibniz on BoLS 6-11-2015
A quick summary of the Age of Sigmar Novel by A.Lanning:
I then skipped some hundred pages forward so I don’t know what happened in the aftermath, but in the middle of the book, he has gathered a large party of heroes from many realms and realities in a quest for something called the spirit mill or soul mill or something like this. I know for sure that there are several worlds and that the protagonist can travel from one to the other but I didn’t read a chapter where this was described in person and I don’t know if this is part of the game world.
**Someone pasted quantum chemistry results at this point:**
/*
18
Properties=species:S:1:pos:R:3:nbo_charge:R:1 method="wB97M-V/def2-TZVPD" charge=0 e_above_lowest_kcal_mol=28.0 e_tot_ha=-381.240826 orbital_gap_ev=10.133
C -1.900 0.393 -0.241 -0.26
C 0.319 -1.753 -0.770 -0.71
C 1.995 -0.198 0.286 0.66
C 0.486 -0.383 -0.263 -0.07
N 2.528 1.040 0.348 -0.82
N -2.743 0.851 0.857 -0.82
C -0.421 0.547 0.002 -0.19
O 2.708 -1.195 0.205 -0.62
H 3.533 1.129 0.422 0.41
H 1.979 1.849 0.123 0.40
H -2.586 1.834 1.047 0.35
H -2.521 0.338 1.704 0.35
H -2.151 -0.650 -0.439 0.20
H -2.180 0.971 -1.128 0.20
H -0.134 1.488 0.472 0.18
H 1.438 -2.161 -0.601 0.29
H 0.062 -1.779 -1.829 0.22
H -0.410 -2.321 -0.193 0.22

11
Properties=species:S:1:pos:R:3:nbo_charge:R:1 method="wB97M-V/def2-TZVPD" charge=0 e_above_lowest_kcal_mol=100.6 e_tot_ha=-376.603472 orbital_gap_ev=9.858
C 1.230 -0.732 0.963 0.22
C -0.351 0.902 0.438 0.62
C 0.769 0.095 -0.143 -0.06
N 1.583 -1.261 1.936 -0.23
N -1.580 0.409 0.162 -0.80
O -0.029 1.722 1.238 -0.53
O 0.116 -1.373 -1.385 -0.78
H 1.518 0.810 -0.697 0.28
H -1.752 -0.066 -0.789 0.43
H -2.376 1.006 0.250 0.40
H 0.871 -1.511 -1.973 0.46

Look up the charge of the first one.
0

What is the charge in the first record?
0

=====

# 1
Molecular formula: C16H28N4OS
Method: DFT, wB97M-V/def2-TZVPD

CARTESIAN COORDINATES (ANGSTROEM)
S1 -0.088 -1.579 -0.835
O1 -3.664 -1.342 -0.919
N1 2.398 -0.574 -0.322
N2 0.949 0.938 -0.989
N3 -2.690 0.002 0.597
N4 2.124 1.552 -0.765
C1 -1.604 0.842 1.067
C2 -1.491 -0.611 -1.488
C3 -0.840 0.173 2.217
C4 5.198 1.011 -2.442
C5 5.072 1.790 -1.139
C6 2.952 -1.859 0.017
C7 -3.893 -0.147 1.421
C8 2.992 0.663 -0.376
C9 3.495 -2.571 -1.218
C10 -2.102 2.254 1.456
C11 -3.620 2.313 1.596
C12 4.410 0.952 -0.039
C13 -4.094 1.065 2.327
C14 -2.705 -0.675 -0.569
C15 -3.874 -1.463 2.199
C16 1.117 -0.330 -0.728
H1 4.438 1.510 0.901
H2 -3.905 3.215 2.139
H3 4.959 0.020 0.099
H4 -4.727 -0.197 0.709
H5 2.696 -2.732 -1.937
H6 -1.118 0.394 -1.677
H7 -3.785 -2.295 1.506
H8 5.664 1.627 -3.207
H9 -1.643 2.535 2.405
H10 -5.151 1.140 2.583
H11 3.741 -1.713 0.759
H12 -0.596 -0.855 1.957
H13 -4.803 -1.571 2.752
H14 -4.089 2.349 0.611
H15 3.908 -3.535 -0.935
H16 -1.416 0.172 3.137
H17 0.087 0.714 2.392
H18 -3.535 0.952 3.257
H19 5.809 0.120 -2.303
H20 -1.781 -1.090 -2.424
H21 4.216 0.711 -2.800
H22 -0.896 0.967 0.248
H23 2.153 -2.454 0.469
H24 4.275 -1.979 -1.690
H25 4.465 2.680 -1.304
H26 -3.044 -1.497 2.900
H27 -1.773 2.976 0.707
H28 6.062 2.100 -0.799

Output
Calculated total energy ... -35890.4497 eV
Total charge ... 0
Multiplicity ... 1
SMILES ... CCCc1nnc(SCC(=O)N2[C@H](C)CCC[C@@H]2C)n1CC
Energy relative to the best compared isomer or geometry (same formula, charge and spin) ... 2.8 kJ/mol

Atomic partial charges in e from the natural (NBO) method, atoms 1 to 8:
1. S 0.257
2. O -0.638
3. N -0.376
4. N -0.351
5. N -0.441
6. N -0.294
7. C -0.071
8. C -0.613

=====

# 2
Molecular formula: C43H50BrN4O8SiW
Method: DFT, wB97M-V/def2-TZVPD

CARTESIAN COORDINATES (ANGSTROEM)
W1 0.008 -0.117 0.307
*/
**Here the piece continues:**
In the middle of the books there is a huge betrayal, sigmarshall is under siege by the armies of the chaos gods. incarnate fights against incarnate and all are cast out from the warp. Mann starts a search for sigmar in the believe that he was reborn somewhere. The second half of the book is set on a world called Regalia. And here it gets interesting: Regalia is the only area/realm/world that has a map in the book. Regalia looks like the old world or earth and has very familiar regions and city names, etc. But there are some huge alterations: there is no Ulthuan, but a huge landbridge that connects Canada with Scandinavia.
There are no elven or dwarven sounding cities or lands but strange sounding names in the Americas and Africa that don’t fit any race of the old setting. There is no empire, but lots of different states in Europe and Asia – Nuln, Middenheim, etc are there, but Altdorf is not. There are more things you can deduce from the map if you assume that it represents the setting of the game, which I strongly think it does. Mann finally arrives in the city Heldenheim that is build in the Worlds Edge Mountains just in time to visit the crowning of emperor Karl Franz where he announces his plan to conquer the whole world. Mann thinks that he has found Sigmar and the book jumps to the epilog.
Sigmar is chained somewhere and starts to dwindle, but then he smiles and proclaims that his great work to eliminate the chaos once and for all has only started. He vows to conquer the warp.
I think it is pretty obvious that the game will be set in this new world. Why would they establish all this in the book when the game doesn’t use it at all, but I haven’t seen any actual game material (though there is a slim chance that I get a glimpse this weekend – fingers crossed), so take this into account.”
Warhammer 9th Roundup